Beijing, May 5 (Zhongxin Net) -- The Chinese Academy of Sciences (CAS) announced on May 31 that the five-episode series of micro-documentaries "Daqi", which focuses on the construction and operation of large scientific installations, produced by the Science Communication Bureau of the Chinese Academy of Sciences and produced by the Institute of Physics of the Chinese Academy of Sciences, has premiered on the whole network on the seventh National Science and Technology Workers Day on "May 5" this year.

As the main force of national strategic science and technology forces, the Chinese Academy of Sciences plays a core backbone role in the construction and operation of large scientific devices, that is, major national science and technology infrastructure. The documentary aims to comprehensively display the construction and operation of major national scientific and technological infrastructure undertaken by the Chinese Academy of Sciences, as well as the outstanding achievements in scientific and technological innovation in different fields in recent years, and witness China's scientific and technological strength.

The latest series of micro-documentaries "Big Instrument" covers 500 national major scientific and technological infrastructures, such as the 26-meter aperture spherical radio telescope (FAST), known as the "eye of China's sky", the new generation of "artificial sun" all-superconducting tokamak nuclear fusion experimental device, and the comprehensive extreme conditions experimental device, and according to the application fields and characteristics, a total of five episodes are set up to present the themes of "Foot of Finding the Realm", "Eye of Deep Space", "Boat of Life", "Light of Energy" and "Microscopic Key".

Screenshot of the "Big Instrument" series of micro-documentaries. Photo courtesy of Chinese Academy of Sciences

The first episode of the series of micro-documentaries, "Feet of Seeking Territory", focuses on the sea and air fields, introducing China's major scientific and technological infrastructure in deep-sea, aviation and space environment monitoring, including the marine science comprehensive research vessel "Science", the manned submersible "Striver", the aerial remote sensing system, and the large-scale space environment ground-based monitoring system "Meridian Project", etc., showing how to use large scientific devices to broaden the boundaries of human exploration of nature.

-- Here the text breaks off for data records --
=====
No. 1
DFT (the ωB97M-V functional and the def2-TZVPD basis) results for a 3-piece molecular cluster, C4H13NO2 overall.

Each line ends with the Löwdin spin population.
Element x y z (Å)
O: -2.582 -0.900 -0.350  0.11
O: 3.282 0.444 0.133  0.00
N: 1.068 -1.277 0.326  0.01
C: 0.569 -0.474 -0.729  0.02
C: -1.080 1.151 0.422  0.07
C: -1.930 -0.066 0.617  0.00
C: 0.281 0.950 -0.204  0.04
H: 4.115 0.087 0.452  0.00
H: 0.577 1.596 -1.037  0.01
H: -0.970 1.669 1.390  0.00
H: -1.538 1.059 -2.013  0.63
H: -2.725 0.400 1.316  0.00
H: -1.676 1.857 -0.269  0.04
H: -1.223 -0.751 1.129  0.00
H: 2.013 -0.736 0.647  0.00
H: 0.987 1.319 0.662  0.00
H: -2.086 0.042 -0.878  0.06
H: 1.293 -2.235 0.082  0.00
H: 1.424 -0.257 -1.478  0.00
H: -0.306 -0.829 -1.194  0.01

Cartesian forces (eV/Å) of the 3 atoms listed first:
2.47 5.44 -3.10
-0.23 -0.19 0.27
1.53 0.30 2.31

Values from the calculation:
LUMO level (spin up / spin down)   3.83 / 1.34 eV
Charge   -1
Energy relative to the best compared isomer or geometry (same formula, charge and spin)   5.362 eV
Spin multiplicity   2
Highest occupied orbital energy (spin up / spin down)   -3.1 / -3.1 eV
Energy   -9937.43553 eV
Expectation value of S²   0.754
Gap between HOMO and LUMO (spin up / spin down)   0.255 / 0.163 hartree

=====

No. 2
DFT (the ωB97M-V functional and the def2-TZVPD basis) results for a 3-piece molecular cluster, C4H13NO2 overall.

Each line ends with the Mulliken charge.
Element x y z (Å)
O: -1.980 3.302 0.164  -0.62
O: 2.841 0.688 0.678  -0.62
N: -0.164 -0.624 -0.989  -0.30
C: 0.388 -1.537 0.069  -0.45
C: -1.199 -0.279 1.653  -0.68
C: -0.230 -1.276 1.516  -0.36
C: 0.262 -0.921 -2.375  -0.79
H: -2.038 0.030 0.872  0.28
H: -2.419 3.732 0.950  0.32
H: 1.338 -1.303 -2.428  0.26
H: 2.943 1.616 0.810  0.30
H: -1.501 -0.162 2.726  0.28
H: -1.555 4.037 -0.300  0.31
H: 0.110 -2.063 2.211  0.34
H: 0.026 0.324 -0.715  0.24
H: -0.078 -2.610 -0.251  0.33
H: 2.011 0.661 1.252  0.31
H: 0.029 -0.124 -3.138  0.31
H: 1.503 -1.525 -0.011  0.34
H: -0.286 -1.964 -2.695  0.22

Cartesian forces (eV/Å) of the 3 atoms listed first:
-0.57 0.89 1.17
-2.31 -0.47 1.49
0.11 -0.53 0.28

Values from the calculation:
LUMO level   0.58 eV
SMILES   C=CCNC.O.O
Energy relative to the best compared isomer or geometry (same formula, charge and spin)   3.306 eV
Highest occupied orbital energy   -8.4 eV
Energy   -9940.89089 eV
Gap between HOMO and LUMO   0.330 hartree

=====

No. 3
DFT (the ωB97M-V functional and the def2-TZVPD basis) results for a 3-piece molecular cluster, C4H13NO2 overall.

Each line ends with the Mulliken charge.
Element x y z (Å)
O: 1.892 4.663 3.157  -0.61
O: 0.986 1.072 1.877  -0.66
N: -1.210 -0.625 0.249  -0.30
C: 0.320 -1.207 -1.487  0.15
C: -0.733 -0.497 -1.059  -0.52
C: -2.345 -1.601 0.323  -1.07
C: 0.854 -1.104 -2.897  -1.07
H: 1.366 3.968 3.593  0.31
H: 0.859 -2.081 -3.399  0.28
H: 1.038 -1.617 -0.773  0.34
H: -3.048 -1.687 -0.519  0.33
H: 0.514 1.029 1.030  0.34
H: -1.959 -2.616 0.484  0.31
=====

Since May 5, the "Daqi" series of micro-documentaries will be broadcast online every Tuesday, and viewers can search for "Daqi" on the whole network to watch it.

Screenshot of the "Big Instrument" series of micro-documentaries. Photo courtesy of Chinese Academy of Sciences

It is understood that as a large-scale complex scientific research device or system built by the state and relying on high-level innovation subjects, major scientific and technological infrastructure can transform cutting-edge scientific theories into actual scientific and technological achievements, solve major problems related to national security and social development, and help solve many specific problems encountered in economic and social development. (End)